10 / 34
Aug 2020

I like drawing my characters most. Especially faces.

As far as what I hate drawing?

....Perspective. Especially for boring things like clinical corporate rooms or buildings or whatever.

Love drawing action scenes/fight scenes....

Hate drawing cityscapes. Too many buildings, perspective, and detail...exhausting as heck.

Organic things, anything that encourages free-flow drawing without needing a ruler.

Non-organic structures, things that needs precision.(city buildings, vehicles, robots etc.) Overbearing details.

I love drawing my characters especially during a funny or emotional moment, cuz thats where i get to to nuts with the expressions. Plus they're my babies, of course I love drawing them :slight_smile:

I don't hate doing the backgrounds but its definately something i struggle with sometimes which is why i try to keep them simple. Doesn't stop me from making them. I also sometimes struggle with getting the colors to look decent especially when making a new pallet.

I hate having to draw background characters/ NPCs. I feel like they're tedious and make a page take longer to finish. Unfortunately they're extremely necessary if I don't want an empty environment.

I like drawing high stakes scenes or moments where characters are outside their element. Sometimes I get burned out when having to draw the same characters over and over again(such as in a conversation), but its more fun when there's some type of action or revelation moment because the characters can go through a range of emotions which breaks up the monotony. Although these scenes are harder to draw.

I enjoy drawing different characters. Gotta make sure they don't look similar to one another. The only thing I dislike about making comics in my art style is that it's labor-intensive. :disappointed_relieved:

I don't wanna say it's something that I'm good at, but I think I've improved a lot when it comes to drawing hairstyles. I do need more improvement in adding wrinkles/folds on clothing.

I love drawing eyes, they're really fun for me, but I hate drawing mouths. I struggle so much with their shape and getting expressions right with them

Okay so. I don't draw a comic but I illustrate my novel.

I LOVE drawing the characters, their expressions, and little details.
I dislike.... Drawing backgrounds. But I'm trying to improve so there's no way around it.
I recently finished this drawing for my Novel and drawing those desks was painful af.

I love sketching out the characters and inking them. :blush: I can do that pretty quickly, but colouring, shading and backgrounds... ugh that takes me forever! :sweat:

Hands. Hands can go jump in the lake as far as I am concerned

Love: Expressions! Whenever I'm bored I just start drawing my characters making funny faces, and I'll take way too much time trying to craft the perfect face for the moment in the story.

# What comes next are molecular data, not part of the article
┌──
(1)
This record from OMol25 describes a cluster of 5 separate species, C4H14O3 in total in a non-equilibrium geometry. The level of theory is wB97M-V/def2-TZVPD.

Geometry (Å):
C (0.06003, -1.71668, 0.95804)
C (0.04989, -0.36417, 0.92857)
C (0.56009, 0.55715, 2.12790)
C (-0.62418, -2.35911, -0.28558)
H (0.54280, -2.30080, 1.74243)
H (-0.54297, 0.17444, 0.18099)
H (1.44714, 1.17780, 1.99854)
H (0.96337, -0.12087, 2.94980)
H (-0.16954, 1.18413, 2.66905)
H (0.03177, -3.20946, -0.58826)
H (-1.61502, -2.61796, 0.03094)
H (-0.72427, -1.59288, -0.96533)
H (-1.43275, 1.72899, -2.18547)
H (1.49870, 0.20203, -0.34067)
O (-1.06628, 1.17079, -1.49580)
H (-0.08601, 3.54510, -0.11150)
H (-0.44433, 2.03324, -0.60170)
O (-0.07107, 2.64870, 0.22940)
H (-0.16000, 0.22488, -2.23498)
H (1.28751, 0.00731, -2.31070)
O (0.49511, -0.37266, -2.69564)

Values from the calculation:
LUMO: -3.951 eV
2S+1: 1
Energy relative to the best compared isomer or geometry (same formula, charge and spin): 746.1 kJ/mol
Frontier orbital gap: 4.975 eV
Molar mass: 110.153 g mol⁻¹
HOMO level: -8.93 eV
Charge: 0

***

(2)
This record from OMol25 describes an isolated molecule of C24H27N3O3S. The level of theory is wB97M-V/def2-TZVPD.

Geometry (Å):
C (-0.85854, -6.35794, -0.01492)
O (-1.36037, -5.04783, -0.10130)
C (-0.50440, -4.00912, 0.13839)
C (0.84805, -4.14081, 0.43136)
C (1.60842, -3.00127, 0.64281)
C (1.05482, -1.74009, 0.57580)
C (-0.30332, -1.60370, 0.29523)
N (-0.92617, -0.36864, 0.13495)
C (-0.58431, 0.81763, 0.70395)
S (0.34452, 0.91194, 2.07272)
N (-1.12626, 1.93146, 0.13739)
C (-0.63851, 3.24475, 0.49524)
C (0.41424, 3.75588, -0.51050)
C (1.44150, 2.68557, -0.75832)
C (1.35944, 1.86270, -1.86374)
C (2.23319, 0.79461, -2.02156)
C (3.19918, 0.53105, -1.06876)
O (4.08123, -0.50789, -1.10853)
C (3.92507, -1.46999, -2.11863)
C (3.30357, 1.37806, 0.05844)
O (4.27163, 1.04902, 0.95400)
C (4.24590, 1.68156, 2.21130)
C (2.43184, 2.44293, 0.19013)
C (-1.98852, 1.84732, -1.02993)
C (-3.38170, 1.42231, -0.62975)
C (-4.36092, 2.34488, -0.28302)
C (-5.60341, 1.87918, 0.11586)
C (-5.82734, 0.51202, 0.15544)
C (-4.78846, -0.33012, -0.20650)
N (-3.60398, 0.11228, -0.58945)
C (-1.06964, -2.74014, 0.06693)
H (-1.70430, -7.01257, -0.22074)
H (-0.46902, -6.57505, 0.98503)
H (-0.07365, -6.53937, -0.75688)
H (1.31686, -5.10968, 0.49409)
H (2.66166, -3.10098, 0.85818)
H (1.66907, -0.87096, 0.73448)
H (-1.84833, -0.42228, -0.30331)
H (-1.48180, 3.93916, 0.55350)
H (-0.18523, 3.15827, 1.48417)
H (0.87799, 4.64990, -0.09142)
H (-0.06619, 4.03012, -1.45228)
H (0.60948, 2.04168, -2.62101)
H (2.13291, 0.16229, -2.88931)
H (2.93098, -1.92972, -2.08398)
H (4.68004, -2.22938, -1.92038)
H (4.09682, -1.04562, -3.11436)
H (4.99562, 1.17016, 2.81296)
H (4.50868, 2.74252, 2.13522)
H (3.26488, 1.57941, 2.68545)
H (2.48691, 3.08342, 1.05538)
H (-2.02726, 2.83456, -1.49062)
H (-1.58116, 1.13491, -1.75567)
H (-4.15436, 3.40319, -0.32543)
H (-6.38389, 2.57258, 0.39276)
H (-6.77981, 0.10988, 0.46144)
└──

Hate: I have to join the chorus of "backgrounds"; I hate them with a blood-curdling passion and will use every trick in the book to cheat on them. 3D models, photobashing, reusing them, whatever keeps me from having to deal with perspective rulers and all that all the time.

The next chapter of my series takes place in a city and I want to cry just thinking about how long the backgrounds are going to take.

Backgrounds are the hardest for me to draw. I'm not the best at perspective, so I'll need to work on that.

I love drawing my characters interacting with each other. :doggo: Anthro characters are fun to draw.

Love: faces, expressions, watercolor landscapes, especially forests and trees.
Hate: complicated perspectives, digital coloring. I just... can never seem to be able to achieve the style I want with digital coloring, especially with cartoony drawings. And my perspectives seem to look fine as long as they stay in the sketching phase... as soon as I move to the lineart phase, they reveal themselves for what they truly are: utter and absolute crap :'D

What I love to draw, paid commission.
What I hate to draw, paid with exposure.
Oh wait, this is not a vent. :joy:

What I love to draw: Objects.
What I hate to draw: Background.

Hate to draw: movement... I just can’t make it right.
Love to draw: exotic background, because it makes me travel so I engage a lot in the drawing. Love drawing abstract shape and texture too.

I absolutely love to draw characters ! But HATE to draw backgrounds...

I love drawing expressions and faces in general. Crazy expressions are a challenge, but also so much fun to do. I also love drawing fluffy hair (coloring it is a different story, tho). Most of my characters end up with their hair being floof. :sweat_smile:

What comes next are calculated molecules, not part of the text >
+++
DFT (ωB97M-V with the def2-TZVPD basis set) results for 6 unconnected molecules or ions with the total composition C44H34B2FN3O18PS.

XYZ file:
```
104
Properties=species:S:1:pos:R:3:forces:R:3
N 4.40063 -0.46806 2.33909 -1.7 1.1 0.1
P 3.20190 0.60962 2.17895 1.9 -3.1 0.6
C 3.14875 1.08356 0.34537 -1.5 0.5 -3.9
C 2.15928 0.22044 -0.53367 1.7 1.6 1.0
C 1.23670 -0.95077 0.09223 -1.3 0.5 -0.7
C -0.27186 -0.74175 -0.12750 0.5 -3.5 1.9
C -1.20765 -1.86970 0.46595 5.8 0.1 0.4
C -0.37147 -2.97264 1.19871 0.0 1.5 -0.9
C 1.16796 -3.00834 1.31954 -2.7 2.3 -1.6
N 1.96130 -1.98612 0.73299 -4.1 -0.2 0.1
N 2.01996 0.48663 -1.94289 2.2 2.1 1.0
C 2.74929 1.52847 -2.66421 0.0 -1.6 3.8
S 2.32037 1.65579 -4.46740 1.3 4.3 -4.5
O 1.81041 3.05539 -4.67427 0.9 -4.8 1.4
O 3.44663 1.26380 -5.36584 -3.5 0.1 3.3
F 1.01509 0.63364 -4.79461 2.3 1.2 1.5
C 3.77725 2.40824 -1.90759 0.1 0.2 -1.0
C 4.60847 3.49634 -2.64811 1.8 1.4 2.7
O 4.54353 3.81346 -4.02648 1.1 -1.4 2.1
B 5.77208 3.49126 -4.72796 1.3 0.0 -1.2
O 6.40892 4.52609 -5.50779 -0.9 -1.6 2.4
O 6.34754 2.17246 -4.71846 -0.5 2.3 1.3
C 5.60944 4.37035 -1.80632 -1.8 -2.3 1.2
C 5.81684 4.19796 -0.27404 -3.1 -2.9 -2.0
C 4.98340 3.09142 0.47805 1.4 2.0 -3.3
O 5.21500 3.01183 1.88025 -1.3 1.6 -1.7
B 4.66436 4.27551 2.40303 -0.8 0.8 0.5
O 5.44518 5.28586 3.04249 -2.2 -1.4 -2.2
O 3.23843 4.48946 2.19607 2.1 -0.8 1.0
C 3.99844 2.20738 -0.34380 -0.7 -0.8 0.6
H 4.00974 -1.37071 2.67810 0.4 0.8 -0.5
H 1.94052 -0.01501 2.52549 0.5 1.3 -0.7
H 3.38365 1.75143 3.02595 -0.5 -0.2 -0.9
H -0.72790 0.14439 -0.70168 1.0 -1.5 1.0
H -2.33890 -1.87563 0.35981 1.8 0.0 0.2
H -0.95511 -3.83815 1.68407 1.1 1.5 -0.9
H 1.64464 -3.88916 1.88871 -0.6 1.8 -1.2
H 1.34129 -0.11358 -2.45989 0.7 0.6 0.4
H 7.33689 4.55493 -5.18596 -0.6 -0.2 -0.9
H 6.80848 1.97480 -3.87403 -0.5 -0.2 -0.8
H 6.23631 5.19237 -2.32034 -1.3 -1.6 0.7
H 6.54248 4.89366 0.26553 -1.2 -1.3 -0.7
H 4.88375 6.10342 2.97737 0.7 -0.9 0.5
H 2.73097 3.74377 2.58305 0.3 0.6 -0.5
C -4.24898 2.16964 -1.75793 -0.1 0.2 0.1
C -4.42457 3.43746 -2.13393 -0.1 -0.3 0.2
C -3.37700 4.16902 -2.87717 -0.3 0.6 -0.1
O -3.53438 5.32436 -3.21872 0.1 -0.4 0.1
C -2.12761 3.44065 -3.18910 0.4 -0.3 -0.1
C -1.95294 2.17342 -2.81279 0.1 0.2 -0.1
C -3.00122 1.44244 -2.06938 -0.1 -0.1 0.1
O -2.84174 0.28103 -1.72670 0.1 0.2 0.0
H -5.00522 1.61949 -1.21287 0.0 0.0 -0.1
H -5.33303 3.98435 -1.91425 0.0 0.0 0.0
H -1.37087 3.99095 -3.73485 0.0 0.0 0.0
H -1.04414 1.62567 -3.03271 0.0 0.0 -0.1
C 4.27520 -3.87307 -3.62342 0.0 -0.3 0.0
C 3.69305 -4.82325 -4.35674 0.2 0.1 0.3
C 3.03518 -4.50490 -5.64232 -0.2 -0.4 -0.3
O 2.50247 -5.36977 -6.31016 0.2 0.3 0.2
C 3.04922 -3.09361 -6.08384 0.0 0.3 0.0
C 3.63177 -2.14410 -5.35012 -0.2 0.0 -0.2
C 4.28905 -2.46255 -4.06528 0.2 0.2 0.1
O 4.82250 -1.59445 -3.39550 -0.3 -0.1 0.0
H 4.76065 -4.08805 -2.67951 0.0 0.0 0.0
H 3.67453 -5.86120 -4.04818 0.0 0.0 0.0
H 2.56369 -2.87808 -7.02753 0.0 0.0 0.0
H 3.65105 -1.10603 -5.65780 0.1 0.0 0.0
C -5.54984 -0.28056 -5.72416 0.2 0.2 0.3
+++

I dislike drawing urban backgrounds, like cities, rooms and all that man made stuff. With landscape I can improvise and pretend that green blob is a bush, but with cities it looks just silly. XD Also feet. No. Just no.

I love drawing fights, hate drawing buildings

I find trouble with vehicles, but that's because I don't draw them often. Everything else is fine.